• Given:
____________
# 1
# C4H7NO2

An isolated molecule of C4H7NO2 (ωB97M-V/def2-TZVPD, OMol25).

```
! RIJCOSX wB97M-V def2-TZVPD def2/J DEFGRID3
* xyz 0 1
C 0.383 1.583 0.929
C 0.198 0.348 0.067
N 0.749 0.126 -1.069
O 1.433 1.200 -1.594
C -0.874 -0.691 0.331
C -0.769 -2.055 -0.171
O -0.785 -1.789 1.228
H 0.282 2.517 0.362
H -0.341 1.587 1.748
H 1.387 1.599 1.377
H 1.765 0.843 -2.431
H -1.905 -0.333 0.399
H -1.648 -2.509 -0.621
H 0.171 -2.475 -0.516
*
```

Output
- relative energy (zero: lowest compared OMol25 entry of this formula, charge and spin) (eV) = 3.916
- DFT total energy (eV) = -9843.3642
- structure (SMILES) = C/C(=N\O)[C@H]1CO1
- E_HOMO (eV) = -9.75
- max |F| (hartree/bohr) = 0.01782
- E_LUMO (eV) = 0.9

For reference, the natural (NBO) charges in units of e are:
1. C -0.685
2. C 0.181
3. N -0.119
4. O -0.562
5. C 0.017
6. C -0.096
7. O -0.487
8. H 0.241
9. H 0.226
10. H 0.241
11. H 0.480
12. H 0.192
13. H 0.177
14. H 0.195

***

# 2
# C4H7NO2

An isolated molecule of C4H7NO2 (ωB97M-V/def2-TZVPD, OMol25).

```
! RIJCOSX wB97M-V def2-TZVPD def2/J DEFGRID3
* xyz 0 1
C -1.508 -0.919 0.101
C -0.381 -0.222 -0.632
C 0.004 1.165 -0.055
N 1.361 0.976 0.430
C 1.659 -0.401 0.392
O 2.550 -0.959 0.965
O 0.775 -1.039 -0.415
H -1.201 -1.062 1.143
H -1.671 -1.906 -0.339
H -2.441 -0.349 0.078
H -0.568 -0.169 -1.710
H -0.649 1.428 0.786
H -0.057 1.973 -0.790
H 2.072 1.478 -0.084
*
```

Output
- relative energy (zero: lowest compared OMol25 entry of this formula, charge and spin) (eV) = 0.450
- DFT total energy (eV) = -9846.8300
- structure (SMILES) = C[C@H]1CNC(=O)O1
- E_HOMO (eV) = -10.17
- max |F| (hartree/bohr) = 0.01037
- E_LUMO (eV) = 0.7

For reference, the natural (NBO) charges in units of e are:
1. C -0.625
2. C 0.076
3. C -0.248
4. N -0.664
5. C 0.874
6. O -0.563
7. O -0.494
8. H 0.217
9. H 0.226
10. H 0.213
11. H 0.187
12. H 0.196
13. H 0.206
14. H 0.398

***

# 3
# C4H7NO2

An isolated molecule of C4H7NO2 in a non-equilibrium geometry (ωB97M-V/def2-TZVPD, OMol25).

```
! RIJCOSX wB97M-V def2-TZVPD def2/J DEFGRID3
* xyz 0 1
O -1.415 -0.116 1.256
C -1.064 0.069 -0.099
C -0.020 1.356 0.423
O 1.264 0.856 0.767
C 1.815 -0.009 -0.121
N 1.228 -0.820 -0.883
C -0.207 -1.012 -0.826
H -1.279 -1.007 1.544
H -2.051 -0.038 -0.671
H -0.016 1.963 -0.446
H -0.276 1.901 1.367
H 2.904 0.042 -0.101
H -0.527 -1.193 -1.870
H -0.356 -1.992 -0.341
*
```

Output
- relative energy (zero: lowest compared OMol25 entry of this formula, charge and spin) (eV) = 3.491
- DFT total energy (eV) = -9843.7886
- structure (SMILES) = O[C@@H]1CN=COC1
- E_HOMO (eV) = -9.53
- max |F| (hartree/bohr) = 0.04390
- E_LUMO (eV) = 0.9

For reference, the natural (NBO) charges in units of e are:
1. O -0.739
2. C 0.038
3. C -0.044
4. O -0.509
5. C 0.399
6. N -0.481
7. C -0.296
8. H 0.465
9. H 0.192
10. H 0.160
11. H 0.221
12. H 0.170
13. H 0.215
14. H 0.210

***

# 4
# C4H7NO2

A structure of composition C4H7NO2 (ωB97M-V/def2-TZVPD, OMol25).

```
! RIJCOSX wB97M-V def2-TZVPD def2/J DEFGRID3
* xyz 0 1
C -2.398 -0.200 -0.162
C -1.086 0.463 -0.092
N -0.398 1.421 -0.234
O -0.081 -1.061 0.444
C 1.146 -0.817 0.661
C 2.045 0.598 -0.440
O 3.047 1.026 0.070
H -2.584 -0.743 0.765
H -3.175 0.547 -0.336
H -2.383 -0.919 -0.984
H 0.844 0.956 -0.051
H 1.484 -0.398 1.620
H 1.874 -1.466 0.151
H 1.974 0.380 -1.533
*
```

Output
- relative energy (zero: lowest compared OMol25 entry of this formula, charge and spin) (eV) = 5.019
- DFT total energy (eV) = -9842.2612
- E_HOMO (eV) = -9.09
- max |F| (hartree/bohr) = 0.01691
- E_LUMO (eV) = -0.1

For reference, the natural (NBO) charges in units of e are:
1. C -0.698
2. C 0.490
3. N -0.487
4. O -0.618
5. C 0.091
6. C 0.215
7. O -0.498
8. H 0.260
9. H 0.247
10. H 0.258
11. H 0.283
12. H 0.159
13. H 0.179
14. H 0.119

----------

(1)
Computed, not measured: a cluster of 8 separate species, C27H51N2O7 in total in a non-equilibrium geometry, with the ωB97M-V functional and the def2-TZVPD basis.

Calculated values
- 2S+1: 1
- Total charge: +1
- HOMO: -10.6 eV
____________

• Assignment:
Quote only the lines further above with the word "max" in them.

• Result:
- max |F| (hartree/bohr) = 0.01782
- max |F| (hartree/bohr) = 0.01037
- max |F| (hartree/bohr) = 0.04390
- max |F| (hartree/bohr) = 0.01691